Pravin Nadkar
The politics in Maharashtra has sprung up an unexpected surprise before the ruling BJP led government in the state. The importance of the caste factor in the state politics has once again come to the fore. The recent initiative of political assertion of the Maratha identity is under the banner of ‘Maratha Kranti’. Considering that kranti i.e. revolution is a term used to describe the struggle of the downtrodden against the establishment, it can not be denied that this movement too enfolds trends against exploitative policies of the establishment. In fact a frustration arising out of inability to improve the living conditions of their own lot, is at the centre of the social turmoil in the offing.
The irony of the situation is that, traditionally, the ruling elite in the state also comes from their own community. This section of Marathas has been enjoying power in each and every field of state governance and rural economy. They are being, somewhat, side lined by the present ruling BJP led government . BJP is making alliance with the new elite players from the OBC sections and trying to woo the dalits in the state. In such a situation, the elite Maratha is trying to find its way back into the corridors of power. They are taking advantage of the disenchantment of the vast sections of the impoverished Marathas with the existing system. This outburst of Maratha identity has provided a timely opportunity to the elite Maratha sections across the political parties. These parties wish to exploit the situation in their own favour for the impending elections at Panchayat and district levels in the state. As such sections of impoverished Marathas i.e. agricultural labourers, saldars, small peasants, urban working population etc. are in a situation where they are joining forces with the very elites who are primarily responsible for their present plight, in the name of the caste. The revolutionary potential of this movement is thus compromised at the very outset.
The famous onion price agitation led by Sharad joshi, had witnessed a similar situation way back in eighties. Where as the landlord forces and other rich peasants benefitted by the consequent rise in the market prices due to the agitation, the poor peasants and the agricultural laborers who lost their lives in that movement were only used as cannon fodder. They did not in any way benefit on account of the trickle down effect as then claimed by Sharad Joshi. However Sharad Joshi had correctly assessed the beginning of downslide of the agricultural sector in the Indian economy and his intervention provided a timely vent to the feeling of rebellion building up among the peasantry. This agitation succeeded in imparting a reformist orientation to the nationwide peasant movement, there by blunting the revolutionary edge of the movement. Maratha landlords and rich peasants were in the leadership positions of this movement too. As a second wave of agricultural distress is spreading across the state, the ruling classes should be too happy and working hard to subvert this agitation in a casteist direction.
Marathas in Maharashtra have been generally equated with the Jats in Haryana. Caste wise, there has always been a confusion about whether the Kunbi, the predominant peasant community is a part of Maratha caste or not. Kunbis are the non-elite sections of Maratha tillers. They consist of various sub castes like Leva patedars. Khaire, Jadav etc. regionally in the state. There is an opinion among certain sections of sociologists that Kunbi is a reality and Maratha is a Myth. This opinion is based on the consideration that majority of those who call themselves Marathas belong originally to the Kunbi caste. The elite castes among Marathas the 96 kuli (96 clans) Marathas and the Maratha Deshmukhs (traditional village level chieftains) are said to be the real Marathas. The Kunbi sections always take pride in being called as Marathas. Since the onset of Mandal Commission a section of the Kunbis have started to demarcate themselves from Maratha in order to claim the benefits from the OBC reservation. Leva Patils, and some other Kunbi subcastes are already included among OBCs list and are eligible for reservation. As such there is also a section of Kunbis which is hesitant to join forces with the Maratha agitation for the fear of losing percentage their own share to the new entrants in the race for reservation. Marathas are said to belong to the Kshatriya varna where as Kunbis belong to the either Vaishya varna as per their occupation of agricultural production and Kunbis are even described as Shudras as they directly engage in physical labour themselves. In fact, the famous icon of Marathas, the king ‘Shivaji Maharaj’ was himself denied a felicitation for the throne by Bramhins as they held him to belong to the Kunbi caste and hence a non-Kshatriya.
Land owning Marathas among the peasant sections, those belonging to small and middle peasants, have suffered a major economic crisis on account of the drought like situation in the last couple of years. This prompted them to commit suicides in a big way. The numbers from the Maratha community are highest among the suicide cases in the state. Exploitative pricing policies of the agricultural produce, policy of relying on imports rather than encouraging the market for the local produce, lack of irrigation facilities, power cuts, high costs of inputs etc. is making agriculture non viable as a livelihood option. In these conditions, the Maratha youth sees no future in agriculture and is seeking employment opportunities in the cities. In such a situation the elite Marathas do not encourage the youth to fight for the betterment of agriculture. When the Maratha youth seeks seats in institutes of education or employment in the Government jobs, they feel discriminated on account of the present reservation policy. On the other hand, high fees in private professional institutions are placing a lot of burden on these peasant families and lack of jobs after such training further places economic burden on them.
********
First-principles (PBE) data for crystalline Lu2ZnAu at its relaxed geometry, as listed in the Materials Project database.

## Properties
SG: Fm-3m, No. 225

Unit cell a=4.968 b=4.968 c=4.968 alpha=60.00 beta=60.00 gamma=60.00
Positions (direct):
Lu 0.250 0.250 0.250
Lu 0.750 0.750 0.750
Zn 0.000 0.000 0.000
Au 0.500 0.500 0.500

---

First-principles (PBE) data for crystalline MgAu2 at its relaxed geometry, as listed in the Materials Project database.

## Properties
SG: Cmcm, No. 63

Unit cell a=7.195 b=7.195 c=4.523 alpha=90.00 beta=90.00 gamma=152.09
Positions (direct):
Mg 0.100 0.900 0.750
Mg 0.900 0.100 0.250
Au 0.234 0.766 0.250
Au 0.436 0.564 0.750
Au 0.564 0.436 0.250
Au 0.766 0.234 0.750

---

First-principles (PBE) data for crystalline MgAu3 at its relaxed geometry, as listed in the Materials Project database.

## Properties
SG: Cmcm, No. 63

Unit cell a=10.527 b=10.527 c=9.601 alpha=90.00 beta=90.00 gamma=147.43
Positions (direct):
Mg 0.041 0.959 0.750
Mg 0.207 0.793 0.250
Mg 0.376 0.624 0.501
Mg 0.376 0.624 0.999
Mg 0.624 0.376 0.001
Mg 0.624 0.376 0.499
Mg 0.793 0.207 0.750
Mg 0.959 0.041 0.250
Au 0.000 0.500 0.000
Au 0.000 0.500 0.500
Au 0.085 0.419 0.250
Au 0.126 0.874 0.501
Au 0.126 0.874 0.999
Au 0.166 0.334 0.750
Au 0.248 0.248 0.000
Au 0.248 0.248 0.500
Au 0.292 0.708 0.750
Au 0.334 0.166 0.250
Au 0.419 0.085 0.750
Au 0.456 0.544 0.250
Au 0.500 0.000 0.000
Au 0.500 0.000 0.500
Au 0.544 0.456 0.750
Au 0.581 0.915 0.250
Au 0.666 0.834 0.750
Au 0.708 0.292 0.250
Au 0.752 0.752 0.000
Au 0.752 0.752 0.500
Au 0.834 0.666 0.250
Au 0.874 0.126 0.001
Au 0.874 0.126 0.499
Au 0.915 0.581 0.750

---

First-principles (PBE) data for crystalline Mg13Au41 at its relaxed geometry, as listed in the Materials Project database.

## Properties
SG: P6_3/mcm, No. 193

Unit cell a=15.234 b=15.234 c=9.622 alpha=90.00 beta=90.00 gamma=120.00
Positions (direct):
Mg 0.000 0.000 0.000
Mg 0.000 0.000 0.500
Mg 0.000 0.224 0.250
Mg 0.000 0.445 0.750
Mg 0.000 0.555 0.250
Mg 0.000 0.776 0.750
Mg 0.223 0.446 0.000
Mg 0.223 0.446 0.500
Mg 0.223 0.777 0.000
Mg 0.223 0.777 0.500
Mg 0.224 0.000 0.250
Mg 0.224 0.224 0.750
Mg 0.445 0.000 0.750
Mg 0.445 0.445 0.250
Mg 0.446 0.223 0.000
Mg 0.446 0.223 0.500
Mg 0.554 0.777 0.000
Mg 0.554 0.777 0.500
Mg 0.555 0.000 0.250
Mg 0.555 0.555 0.750
Mg 0.776 0.000 0.750
Mg 0.776 0.776 0.250
Mg 0.777 0.223 0.000
Mg 0.777 0.223 0.500
Mg 0.777 0.554 0.000
Mg 0.777 0.554 0.500
Au 0.000 0.110 0.750
Au 0.000 0.332 0.501
Au 0.000 0.332 0.999
Au 0.000 0.668 0.001
Au 0.000 0.668 0.499
Au 0.000 0.890 0.250
Au 0.110 0.000 0.750
Au 0.110 0.110 0.250
Au 0.110 0.444 0.250
Au 0.110 0.555 0.000
Au 0.110 0.555 0.500
Au 0.110 0.666 0.750
Au 0.111 0.222 0.000
Au 0.111 0.222 0.500
Au 0.111 0.889 0.000
Au 0.111 0.889 0.500
Au 0.112 0.333 0.750
Au 0.112 0.779 0.250
Au 0.221 0.333 0.250
Au 0.221 0.551 0.750
Au 0.221 0.669 0.250
Au 0.221 0.888 0.750
Au 0.222 0.111 0.000
Au 0.222 0.111 0.500
Au 0.331 0.551 0.250
Au 0.331 0.779 0.750
Au 0.332 0.000 0.501
********
Even if Marathas are given reservation as per their demand, it can hardly improve their employment situation. The Employment figure for the government related jobs has shrunk to slightly less than half the number in the last few years. As such the reservation becomes irrelevant for better prospects. Educational institutions are also privatized in a big way and as such reservation in admissions too does not better their chance for higher education. It has been a widely held social belief among the peasantry that, in the order of hierarchy, agriculture ranks first as a livelihood option, next at the medium level is trade and lowest ranking is employment. These sentiments are conveniently sidelined by the initiators of the current agitation for reservation. The youth is not encouraged to fight for saving the agriculture from its plight today. Instead urban life and employment for livelihood is projected as the alternative to survive the agricultural distress.
Maratha community has a sizable share of 32% in the population of Maharashtra. It has been traditionally powerful in economy as well as politics of Maharashtra. In both these fields they have become comparatively weaker in the recent times. The Marathas have an unparalleled social clout at the village level. They are in forefront of practicing caste discrimination towards dalits. With growing urbanization, their cultural supremacy and social clout in general is decreasing. Dalits as well as OBCs are able benefit from educational facilities as well as employment opportunities to some extent. Maratha elites dominate the upper echelons of the bureaucracy. They are now unable to accept the backward castes as equal partners in power. This is why the elites utilize the caste prejudices to drive the Maratha youth in the current agitation. In a situation where the job market is not growing and the Government is putting a halt to new recruitment, then extra reservation for Marathas cannot be the solution to their problem. But this is where the politics is at work, behind this so called non-party or all party Maratha agitation.
The impact of globalization started showing in India in a big way since nineties. Rapid urbanization at the cost of preservation of agricultural profession became a distinct trend across the country side. Marathas were not ready for this change. Though a small section of elite Marathas in the state are next to the Bramhins, in the field of education, majority of them did not give much importance to education. The agriculture oriented education is generally neglected in the state and the traditional ways of cultivation did not demand higher education for agricultural occupation among the Maratha youth. This youth finds himself in a peculiar situation today. Majority of this youth comes from Middle peasant to agricultural laborer background and as such finds it difficult when it comes to finding admissions for the higher education or even for employment. On the other hand the status of the OBC section seems to be better than before. As such the social turmoil taking shape among the Marathas also has to be understood in the frame work of the process of globalization.
The other important development around the same period was that the government allowed reservations for SCs ,STs and OBCs at the gram panchayat level way back in 1994. This gave an opportunity for these castes to get elected at the gram panchayat level and also to become Sarpanch of the village. It is a marked departure from the traditional power structure at the village level. It meant that lower caste people could hold politically more important position than the Marathas when the Sarpanch belongs to the lower castes. These changes in the power structure right from the village level and the declining social status of Marathas at the state level has nurtured a deep sense of social resentment over a long period of time. The Kopardi event gave a vent to these frustrations among the Marathas.
It all started with the condemnable rape of a Maratha school girl by some alleged dalit goondas in a Taluk called Kopardi in Maharashtra. The success of the Marathi film “Sairat” had hurt the sentiments of the sectarian sections of Marathas. In this film Marathas are shown to be wielding power in a criminal manner against an inter-caste marriage of a Maratha girl with a dalit boy. Maratha family of the girl side is shown in a negative light and the Maratha leader from the family is shown as a villain in the film. The incidence of rape of the Maratha girl by certain dalits has thus provided an opportunity for the Maratha elite to hit back at dalits and claim a moral high ground.
An ex-employee of a multinational company and an electrical engineer by name Sanjay Patil took initiative to register the names of the accused in the police station on the very next day of the incidence. Day after that he gave a call for Kopardi Bandh. He is one of the important leaders of the movement. A certain Bhaiyyu Maharaj generally in close relations with the Maratha elites was another person who visited Kopardi after the incident. As the image of any existing political Maratha stalwart is not very credible, such non party faces are more acceptable to the Maratha community at large. Seeing the response to the initiative taken at Kopardi a Bandh call was given in Aurangabad city of Maharashtra. The response to this second call was tremendous. It was a kind of spontaneous response. After that various cities took initiatives for such rallies. There is no doubt that Kopardi was only a trigger point and the rape of the a Maratha girl became an incidence of challenge to the Maratha pride and a demand was made to amend the SCs & STs (Prevention of Atrocities) Act. The issue of unemployment was subsequently added to the agenda to attract the unemployed youth from the community. The reservation was then projected as a solution for this malady of unemployment. Seeing the rising spontaneous response and mobilization of Marathas on these demands, Maratha leaders, across the party lines, have jumped into the fray.
The non-political puritanism craftily exhibited during various marches in the state are hypocritical at the best. Without the active participation and support of the Maratha stalwarts from the sugar cooperative, financial institutions and educational institutions and without the mobilization and support from political leaders across party lines, the huge mobilizations would not be possible. At present Maratha lobby is deprived of the CM’s chair. The state Government is trying to dislodge them from their traditional power centers like cooperative institutes, educational institutes etc. At the cultural level the anti dalit image of Marathas is coming out more openly and thus Marathas are projected in poor light by a section of the Media. The Prevention of Atrocities Act has somewhat been a challenge to the unquestionable power of Maratha over the lives of dalits in the villages. The community which takes pride in its social supremacy and authoritarian political power cannot see itself being deprived of any advantages from the system. They cannot accept the betterment of socially inferior communities at their own cost. The caste factor in this case has blured all the class distinctions among the Marathas and united them in a struggle to either snatch away the benefits given to other communities or end the system of benefitting the socially backwards all together.
The very basis of the criteria for reservation has been the measure of social backwardness. The decision to grant 16% reservation to Marathas was taken by the UPA government in 2014. It was challenged in the court and could not stand the judicial test. In a bid to woo the Maratha electorate the present non Maratha CM too passed the same ordinance granting 16% reservation to them. This decision too has been challenged and is now before the High Court. The court matter is certainly going to take a long time to come to a conclusion. With the 50% cap on reservation it is doubtful that the grant of 16% reservation shall be upheld. This demand for reservation was in fact raised by Sharad Pawar of NCP during the UPA regime to embarrass Prithwiraj Chavan of Congress. He has been giving statements to the press demanding the reservation and also asking for amendments to the existing Prevention of Atrocities Act. In fact amendment to this Act can take place only at the central level. As such this demand is problematic for the NDA government at the state as well as at the centre.
Considering that the reservation cannot be given beyond the 50% quota, it is not possible for the NDA to get approval of the court for an extra reservation of 16%. The agitators are demanding that amendment to the Constitution be made to change the 50% cap on reservation. This demand also becomes a liability for the NDA at the Centre. As such the edge of the agitation is certainly going to be against the present NDA govt. in the state and is likely to help improve the traditional support base of Congress and NCP in the state. Such is the politics behind the so called non political assertion of the Maratha identity. The only relief for the NDA Government in Maharashtra is that nobody is raising even a whimper about the cancelation of 5% reservation for Muslims which was declared through an ordinance of the previous UPA government in the state and which was allowed to lapse by the present Government.
The Maratha youth should concentrate on a struggle for equitable distribution of land, water resources, fair price for the produce etc. They should take up cudgels against the penetration of Multinationals. Maratha youth should fight against the growing urbanization of rural areas at the cost of agriculture. It is very important for the right thinking Maratha community to grow out of their caste shell. They should not fall prey to the machinations of the elite political Maratha class. It is absolutely necessary that Maratha oppressed community should make a common cause with the other sections of peasantry and wage a consistent struggle against the outdated patriarchal, communal and casteist tendencies within their own community. Without shaking off the elites from the leadership positions and without joining forces with the country wide class struggle, the actual kranti for would remain a distant dream for them.